~~~
# 1
Below is crystalline BaIn2Sb4 at its relaxed geometry, with properties calculated at the GGA-PBE level.

abc: 10.441 4.587 19.872
angles: 90.00 90.00 90.00
Space group Pnma (No. 62)
Inequivalent atoms, fractional coordinates:
Ba 0.248 0.250 0.045 x4
In 0.123 0.750 0.230 x4
In 0.150 0.750 0.864 x4
Sb 0.001 0.750 0.098 x4
Sb 0.022 0.250 0.642 x4
Sb 0.102 0.250 0.429 x4
Sb 0.206 0.750 0.725 x4

Values from the calculation:
**Formation energy from the elements**: -0.46 eV per atom

# 2
Below is crystalline Ti3Al5 at its relaxed geometry, with properties calculated at the GGA-PBE level.

abc: 3.922 4.030 8.116
angles: 90.00 90.00 90.00
Space group Pmmm (No. 47)
Inequivalent atoms, fractional coordinates:
Ti 0.000 0.000 0.000 x1
Ti 0.500 0.000 0.265 x2
Al 0.000 0.000 0.500 x1
Al 0.000 0.500 0.242 x2
Al 0.500 0.500 0.000 x1
Al 0.500 0.500 0.500 x1

Values from the calculation:
**Formation energy from the elements**: -0.41 eV per atom

# 3
Below is crystalline TbU3Co8Ge8 at its relaxed geometry, with properties calculated at the GGA-PBE level.

abc: 4.017 4.017 19.678
angles: 90.00 90.00 90.00
Space group P4/mmm (No. 123)
Inequivalent atoms, fractional coordinates:
Tb 0.000 0.000 0.000 x1
U 0.000 0.000 0.500 x1
U 0.500 0.500 0.251 x2
Co 0.000 0.500 0.127 x4
Co 0.000 0.500 0.375 x4
Ge 0.000 0.000 0.186 x2
Ge 0.000 0.000 0.314 x2
Ge 0.500 0.500 0.065 x2
Ge 0.500 0.500 0.436 x2

Values from the calculation:
**Formation energy from the elements**: -0.49 eV per atom

# 4
Below is crystalline K2SbAuCl6 at its relaxed geometry, with properties calculated at the GGA-PBE level.

abc: 10.701 10.701 10.701
angles: 90.00 90.00 90.00
Space group Fm-3m (No. 225)
Inequivalent atoms, fractional coordinates:
K 0.250 0.250 0.250 x8
Sb 0.000 0.000 0.000 x4
Au 0.000 0.000 0.500 x4
Cl 0.000 0.000 0.248 x24

Values from the calculation:
**Formation energy from the elements**: -1.46 eV per atom

# 5
Below is crystalline UBrO5 at its relaxed geometry, with properties calculated at the GGA-PBE level.

abc: 9.361 6.175 10.808
angles: 90.00 103.32 90.00
Space group P2_1/c (No. 14)
Inequivalent atoms, fractional coordinates:
U 0.156 0.128 0.081 x4
Br 0.323 0.596 0.909 x4
O 0.020 0.645 0.583 x4
O 0.058 0.209 0.674 x4
O 0.267 0.051 0.525 x4
O 0.277 0.528 0.501 x4
O 0.337 0.062 0.280 x4

Values from the calculation:
**Formation energy from the elements**: -1.98 eV per atom

# 6
Below is crystalline CeAl8Fe4 at its relaxed geometry, with properties calculated at the GGA-PBE level.

abc: 8.757 8.757 5.023
angles: 90.00 90.00 90.00
Space group I4/mmm (No. 139)
Inequivalent atoms, fractional coordinates:
Ce 0.000 0.000 0.000 x2
Al 0.000 0.222 0.500 x8
Al 0.000 0.343 0.000 x8
Fe 0.250 0.250 0.250 x8

Values from the calculation:
**Formation energy from the elements**: -0.41 eV per atom

# 7
Below is crystalline KHI2F12 at its relaxed geometry, with properties calculated at the GGA-PBE level.

abc: 9.930 9.930 10.698
angles: 90.00 90.00 90.00
Space group I4/mcm (No. 140)
Inequivalent atoms, fractional coordinates:
K 0.000 0.000 0.250 x4
H 0.000 0.500 0.250 x4
I 0.160 0.340 0.000 x8
F 0.000 0.500 0.141 x8
F 0.084 0.220 0.125 x32
F 0.207 0.293 0.500 x8

Values from the calculation:
**Formation energy from the elements**: -2.13 eV per atom

# 8
Below is crystalline LaOF at its relaxed geometry, with properties calculated at the GGA-PBE level.

abc: 4.0617 4.0617 20.3631
angles: 90.00 90.00 120.00
Space group R-3m (No. 166, hexagonal axes)
Inequivalent atoms, fractional coordinates:
La 0.0000 0.0000 0.2413 x6
O 0.0000 0.0000 0.1233 x6
F 0.0000 0.0000 0.3712 x6

Values from the calculation:
**Formation energy from the elements**: -4.25 eV per atom

# 9
Below is crystalline CaRhN2 at its relaxed geometry, with properties calculated at the GGA-PBE level.

abc: 5.059 10.133 17.223
angles: 90.00 90.00 90.00
Space group Pbca (No. 61)
Inequivalent atoms, fractional coordinates:
Ca 0.243 0.008 0.062 x8
Ca 0.248 0.746 0.688 x8
Rh 0.191 0.524 0.811 x8
Rh 0.192 0.221 0.435 x8
~~~
Duplicate the contents further up from the first line to the one with "Pbca (No." word for word.
# 1
Below is crystalline BaIn2Sb4 at its relaxed geometry, with properties calculated at the GGA-PBE level.

abc: 10.441 4.587 19.872
angles: 90.00 90.00 90.00
Space group Pnma (No. 62)
Inequivalent atoms, fractional coordinates:
Ba 0.248 0.250 0.045 x4
In 0.123 0.750 0.230 x4
In 0.150 0.750 0.864 x4
Sb 0.001 0.750 0.098 x4
Sb 0.022 0.250 0.642 x4
Sb 0.102 0.250 0.429 x4
Sb 0.206 0.750 0.725 x4

Values from the calculation:
**Formation energy from the elements**: -0.46 eV per atom

# 2
Below is crystalline Ti3Al5 at its relaxed geometry, with properties calculated at the GGA-PBE level.

abc: 3.922 4.030 8.116
angles: 90.00 90.00 90.00
Space group Pmmm (No. 47)
Inequivalent atoms, fractional coordinates:
Ti 0.000 0.000 0.000 x1
Ti 0.500 0.000 0.265 x2
Al 0.000 0.000 0.500 x1
Al 0.000 0.500 0.242 x2
Al 0.500 0.500 0.000 x1
Al 0.500 0.500 0.500 x1

Values from the calculation:
**Formation energy from the elements**: -0.41 eV per atom

# 3
Below is crystalline TbU3Co8Ge8 at its relaxed geometry, with properties calculated at the GGA-PBE level.

abc: 4.017 4.017 19.678
angles: 90.00 90.00 90.00
Space group P4/mmm (No. 123)
Inequivalent atoms, fractional coordinates:
Tb 0.000 0.000 0.000 x1
U 0.000 0.000 0.500 x1
U 0.500 0.500 0.251 x2
Co 0.000 0.500 0.127 x4
Co 0.000 0.500 0.375 x4
Ge 0.000 0.000 0.186 x2
Ge 0.000 0.000 0.314 x2
Ge 0.500 0.500 0.065 x2
Ge 0.500 0.500 0.436 x2

Values from the calculation:
**Formation energy from the elements**: -0.49 eV per atom

# 4
Below is crystalline K2SbAuCl6 at its relaxed geometry, with properties calculated at the GGA-PBE level.

abc: 10.701 10.701 10.701
angles: 90.00 90.00 90.00
Space group Fm-3m (No. 225)
Inequivalent atoms, fractional coordinates:
K 0.250 0.250 0.250 x8
Sb 0.000 0.000 0.000 x4
Au 0.000 0.000 0.500 x4
Cl 0.000 0.000 0.248 x24

Values from the calculation:
**Formation energy from the elements**: -1.46 eV per atom

# 5
Below is crystalline UBrO5 at its relaxed geometry, with properties calculated at the GGA-PBE level.

abc: 9.361 6.175 10.808
angles: 90.00 103.32 90.00
Space group P2_1/c (No. 14)
Inequivalent atoms, fractional coordinates:
U 0.156 0.128 0.081 x4
Br 0.323 0.596 0.909 x4
O 0.020 0.645 0.583 x4
O 0.058 0.209 0.674 x4
O 0.267 0.051 0.525 x4
O 0.277 0.528 0.501 x4
O 0.337 0.062 0.280 x4

Values from the calculation:
**Formation energy from the elements**: -1.98 eV per atom

# 6
Below is crystalline CeAl8Fe4 at its relaxed geometry, with properties calculated at the GGA-PBE level.

abc: 8.757 8.757 5.023
angles: 90.00 90.00 90.00
Space group I4/mmm (No. 139)
Inequivalent atoms, fractional coordinates:
Ce 0.000 0.000 0.000 x2
Al 0.000 0.222 0.500 x8
Al 0.000 0.343 0.000 x8
Fe 0.250 0.250 0.250 x8

Values from the calculation:
**Formation energy from the elements**: -0.41 eV per atom

# 7
Below is crystalline KHI2F12 at its relaxed geometry, with properties calculated at the GGA-PBE level.

abc: 9.930 9.930 10.698
angles: 90.00 90.00 90.00
Space group I4/mcm (No. 140)
Inequivalent atoms, fractional coordinates:
K 0.000 0.000 0.250 x4
H 0.000 0.500 0.250 x4
I 0.160 0.340 0.000 x8
F 0.000 0.500 0.141 x8
F 0.084 0.220 0.125 x32
F 0.207 0.293 0.500 x8

Values from the calculation:
**Formation energy from the elements**: -2.13 eV per atom

# 8
Below is crystalline LaOF at its relaxed geometry, with properties calculated at the GGA-PBE level.

abc: 4.0617 4.0617 20.3631
angles: 90.00 90.00 120.00
Space group R-3m (No. 166, hexagonal axes)
Inequivalent atoms, fractional coordinates:
La 0.0000 0.0000 0.2413 x6
O 0.0000 0.0000 0.1233 x6
F 0.0000 0.0000 0.3712 x6

Values from the calculation:
**Formation energy from the elements**: -4.25 eV per atom

# 9
Below is crystalline CaRhN2 at its relaxed geometry, with properties calculated at the GGA-PBE level.

abc: 5.059 10.133 17.223
angles: 90.00 90.00 90.00
Space group Pbca (No. 61)